This group wants Pluto to be a planet again — and bring hundreds of objects along with it

Alan Stern, principal investigator of the New Horizons mission, is ready to make Pluto a planet again ... along with Ganymede and hundreds of other objects.
By | Published: February 21, 2017 | Last updated on May 18, 2023

Earth, say hello to what could be your scads of new planetary siblings.
Antonio Ciccolella

In 2006, science text books were changed and the hearts of millions broken when the International Astronomical Union decided to give Pluto a new classification: dwarf planet. The logic was to make it fit more with a group of new large objects discovered in the outer solar system, one of which (Eris) is nearly the same size as Pluto. That didn’t prevent outcry.

Indeed, when I attended the New Horizons flyby in 2015, Dava Sobel revealed how the vote might have gone: Pluto and Charon would have been regarded as a double planet, Eris would become a full planet, and Ceres would regain its planetary status. Ceres, from its discovery in 1801 to about the 1850s, was regarded as a planet, as were Vesta, Pallas, and a handful of the other asteroids. As more objects accumulated in that region of the solar system, these small bodies were relegated to minor planet status. Much the same thing happened with Pluto and the Kuiper Belt with each passing discovery.

So what did the IAU declare a planet? It had to orbit the Sun (excluding moons), be in a roughly spherical shape (excluding asteroids), and clear its field of debris (excluding the dwarf planets). Had Pluto stayed a planet, and the other large Kuiper Belt Objects come with it, we might have hundreds of planets. To be a dwarf planet, the first two conditions had to be met but the object has to have “failed” at the third. Mike “Pluto killer” Brown currently lists 10 objects as dwarf planets in name or deed, another 20 as more-than-likely, and a total of 148 objects as likely to satisfy the conditions of a dwarf planet.

But Alan Stern, principal investigator of the New Horizons mission, says there’s a better way. In a paper put forth by Stern and others, the definition would be quite simple: “A planet is a sub-stellar mass body that has never undergone nuclear fusion and that has sufficient self-gravitation to assume a spheroidal shape adequately described by a triaxial ellipsoid regardless of its orbital parameters.”

Breaking that down: to be a planet, you have to be large, round, and not a star. As long as a world is rounded out by its own gravity, that makes it a planet.

Which means that in this scenario, the Moon is now a planet. Tiny Enceladus and titanic Titan are both now planets. Pluto is a planet again, but so is Charon. Ceres gains its status back, though most other asteroids do not.

It should be explicitly noted, as not to cause undue headaches: Pluto is not a planet again. This is simply a proposal for something to be considered. The IAU would have to accept the definition, which is definitely not a given. (I will, in the meantime, maintain my planetary-status-agnostic stance.)

I asked Dr. Stern a few questions to figure out what his proposition entailed, and how a moon might become a planet. It may not gain traction, but it does underscore a good point: there’s a lot more to the geology of the solar system than just the currently accepted pantheon of planets.

These records of molecules were left in the piece by mistake
=====
Entry 1:
ORCA calculation (ωB97M-V/def2-TZVPD) on 3 unconnected molecules or ions with the total composition C3H10NO3S.

Values from the calculation:
<S²>: 0.753
Gap between HOMO and LUMO (spin up / spin down): 0.3768 / 0.2573 Ha
Spin multiplicity: 2

Each line ends with the Löwdin charge.
Geometry (Å):
S1 0.066 0.528 -1.254  0.68
O1 -1.008 -2.377 2.424  0.07
O2 4.250 2.867 -3.276  -0.06
O3 1.748 2.510 1.114  -0.08
N1 -2.945 -2.204 1.278  0.16
C1 -0.910 -0.109 0.117  -0.61
C2 -1.580 -2.125 1.387  -0.55
C3 -0.829 -1.619 0.178  -0.22
H1 -0.510 0.289 1.040  0.07
H2 3.370 2.782 -2.900  0.02
H3 -3.332 -2.158 0.350  0.10
H4 1.719 1.607 0.803  -0.02
H5 -3.407 -2.753 1.973  0.10
H6 4.542 3.688 -2.863  0.04
H7 -1.890 0.120 -0.159  0.04
H8 1.654 2.995 0.286  0.02
H9 0.200 -1.976 0.271  0.12
H10 -1.139 -2.065 -0.768  0.11

=====

Entry 2:
ORCA calculation (ωB97M-V/def2-TZVPD) on a molecular structure, C3H10NO3S.

Values from the calculation:
<S²>: 0.759
Gap between HOMO and LUMO (spin up / spin down): 0.3625 / 0.2276 Ha
Spin multiplicity: 2

Each line ends with the Löwdin charge.
Geometry (Å):
S1 1.200 -0.401 1.525  0.85
O1 0.697 0.783 -1.218  0.01
O2 -1.018 1.741 2.813  -0.13
O3 -0.750 2.942 -0.440  -0.05
N1 -0.757 -1.239 -1.664  0.04
C1 1.248 -0.145 -0.740  -0.48
C2 0.164 -1.660 0.753  -0.47
C3 0.358 -1.481 -0.783  -0.39
H1 0.273 -2.661 0.987  0.04
H2 -1.372 -0.485 -1.518  0.06
H3 -0.459 0.861 2.619  -0.01
H4 -0.584 1.987 -0.440  -0.01
H5 -0.900 -1.501 1.041  0.10
H6 0.082 3.282 -0.128  0.03
H7 -0.448 -1.300 -2.670  0.12
H8 2.431 -0.247 -0.704  0.15
H9 -1.128 1.851 1.855  -0.01
H10 0.961 -2.327 -1.287  0.17

=====

Entry 3:
ORCA calculation (ωB97M-V/def2-TZVPD) on 4 unconnected molecules or ions with the total composition C3H10NO4.

Values from the calculation:
Gap between HOMO and LUMO: 0.0918 Ha
Total charge: -1

Each line ends with the Löwdin charge.
Geometry (Å):
O1 -1.527 -2.165 1.690  -0.33
O2 -2.216 2.453 -0.185  -0.38
O3 -3.164 0.298 -1.054  -0.09
O4 5.190 0.001 -0.143  -0.08
N1 -1.494 -1.584 -0.733  0.10
C1 4.192 0.728 0.124  -0.45
C2 -2.117 -0.284 -0.299  -0.31
C3 2.831 0.597 0.294  0.05
H1 -2.847 2.788 0.480  -0.06
H2 -1.112 -2.143 0.104  0.04
H3 2.367 -0.323 0.344  0.01
H4 -2.181 -2.206 -1.208  0.09
H5 2.161 1.455 -0.019  0.08
H6 4.477 1.843 0.087  0.10
H7 -2.577 -0.384 0.726  0.15
H8 -1.258 0.406 -0.226  0.13
H9 -1.316 -2.604 2.530  -0.06
H10 -2.953 1.320 -0.865  0.02

=====

Entry 4:
ORCA calculation (ωB97M-V/def2-TZVPD) on 3 unconnected molecules or ions with the total composition C3H10NO4S.

Values from the calculation:
Gap between HOMO and LUMO: 0.3121 Ha
Total charge: -1

Each line ends with the Löwdin charge.
Geometry (Å):
S1 0.659 2.822 0.652  0.64
O1 1.233 0.047 2.914  -0.09
O2 0.706 -1.529 -2.894  -0.02
O3 -0.093 -1.459 -0.734  -0.09
O4 0.870 -2.723 1.207  -0.13
N1 -0.322 0.318 -2.088  0.02
C1 -0.207 1.245 0.262  -0.56
C2 -1.076 0.887 -0.974  -0.29
C3 0.126 -1.067 -1.921  -0.72
H1 -1.046 1.313 1.006  0.06
H2 0.229 -2.836 1.906  0.00
=====


What, to you, is important about the designation of planet?

As a planetary scientist, it’s important to me that we understand which objects are and are not the objects after which the field is named.

Of objects that have never been considered a planet before, what is the biggest underdog that, to you, was due for a promotion?

The large satellites of planets deserve to be called planets themselves. Just as stars orbit stars, asteroids orbit asteroids, and galaxies orbit galaxies, planets can orbit planets. We see that in binary planets like Pluto-Charon, but also with worlds like the Galilean satellites of Jupiter, Titan and other small planets orbiting Saturn, and our own moon orbiting Earth.

(Records of molecules from another source follow)
<<<
DFT (the ωB97M-V functional and the def2-TZVPD basis) results for one molecule with the formula C4H8N2S at a distorted geometry.

## Properties
M in g mol⁻¹: 116.19
Structure (SMILES): C=C(/C=N\N)SC
Orbital gap in eV: 9.183
Relative energy (zero: lowest compared OMol25 entry of this formula, charge and spin) in kcal/mol: 80.2
Electronic energy in a.u.: -664.80493

Last column: Mulliken charge in e.
Atoms and positions in Å:
C 0.80358 2.21988 -0.30793  -0.758
C 0.35297 0.98017 -0.04602  0.344
C -0.87413 0.57204 0.67295  -0.271
N -1.86185 -0.15901 0.16166  -0.365
N -1.84473 -0.52565 -1.12150  -0.258
S 1.30767 -0.49193 -0.74023  -0.142
C 1.00275 -1.75649 0.59339  -0.699
H 1.86618 2.54781 -0.64822  0.229
H 0.41659 3.13553 0.11307  0.305
H -1.00516 1.16394 1.63016  0.277
H -2.30015 -1.35682 -1.20736  0.233
H -0.89986 -0.38999 -1.58997  0.260
H 1.67787 -1.51653 1.45132  0.248
H -0.01088 -1.71920 0.98854  0.311
H 1.36915 -2.70376 0.05013  0.285
>>>

What would you consider the “lower limit” for planetary consideration in our solar system?

The smallest objects that satisfy the geophysical planet definition are about 10 times smaller than Pluto, just at the boundary where rocks turn into bodies made round by their self gravity.

Why do you believe moons should be lumped in with this definition?

Like many planetary scientists, I recognize that these worlds have all the properties of planets, even though they orbit other planets.

It’s been pointed out that you simply want to apply these definitions to our own solar system. How do you see the same principles being used in exoplanet systems, and if this were utilized, would planet encompass all sub-stellar objects (I.e. brown dwarfs)?

Yes, I sure do.

# Misplaced calculated molecules
- - -
{
  "formula": "C4H10N2O2",
  "method": "ωB97M-V/def2-TZVPD",
  "elements": ["N", "C", "C", "C", "N", "C", "O", "O", "H", "H", "H", "H", "H", "H", "H", "H", "H", "H"],
  "positions_angstrom": [[-2.7551, 0.0730, 0.2969], [-1.4377, 0.6504, 0.4476], [-0.3251, -0.4798, 0.2033], [0.7651, 0.1994, -0.5926], [1.3788, 1.3382, 0.0675], [1.9928, -0.7419, -0.6679], [3.0701, -0.3485, -0.9718], [1.7039, -2.0568, -0.3089], [-3.2592, 0.3101, -0.5370], [-2.8302, -0.8475, 0.7129], [-1.3954, 1.4284, -0.3952], [-1.3859, 1.0582, 1.4610], [0.0035, -0.8575, 1.1511], [-0.7070, -1.2657, -0.4559], [0.5906, 0.5978, -1.6053], [1.3617, 1.3297, 1.1185], [0.8787, 2.2056, -0.0835], [2.3505, -2.5931, 0.1591]],
  "forces_ev_per_a": [[-0.36, 0.20, 0.91], [-0.27, -1.17, -1.75], [-1.71, 2.58, -1.53], [2.29, -0.53, 1.16], [-0.31, 1.79, 2.13], [0.13, -0.93, -0.18], [0.57, -0.56, -0.05], [-0.96, 0.77, -0.12], [-0.02, -0.61, 0.02], [-0.46, 0.24, -0.67], [0.38, -0.71, 1.61], [0.52, 0.41, -0.32], [0.45, -0.33, 0.28], [-0.35, -0.05, 0.58], [-0.69, -0.77, 0.24], [0.16, -0.79, -1.31], [-0.13, -0.05, -0.59], [0.75, 0.50, -0.42]],
  "lowdin_charge": [-0.042, -0.266, -0.146, -0.335, 0.029, -0.460, 0.124, 0.057, 0.058, 0.068, 0.129, 0.097, 0.107, 0.116, 0.165, 0.112, 0.070, 0.117],
  "total_energy_ev": -11384.3565,
  "homo_lumo_gap_ev": 9.376,
  "smiles": "NCC[C@@H](N)C(=O)O",
  "homo_energy_ev": -8.655,
  "relative_energy_ev": 2.546
}

{
  "formula": "C4H10N2O2",
  "method": "ωB97M-V/def2-TZVPD",
  "elements": ["C", "C", "N", "N", "O", "O", "H", "H", "H", "H", "H", "H", "C", "C", "H", "H", "H", "H"],
  "positions_angstrom": [[0.6733, 0.3437, -0.4660], [-0.6244, 0.6170, 0.2362], [1.8046, 0.6073, 0.3599], [-0.5573, 1.2331, 1.4975], [0.6820, 0.9418, -1.7747], [-1.6307, 1.1600, -0.5245], [0.7971, 1.8960, -1.6675], [-1.3721, 1.0597, -1.4545], [2.6607, 0.2478, -0.0404], [1.9007, 1.5881, 0.6001], [-1.4678, 1.3411, 1.9266], [0.1006, 0.7711, 2.1106], [-0.0877, -2.5126, -0.4749], [-1.0483, -2.0937, 0.2055], [-0.9994, -0.7172, 0.3731], [0.5025, -3.3330, -0.8222], [0.6742, -0.7819, -0.6933], [-2.0078, -2.3685, 0.6083]],
  "forces_ev_per_a": [[0.02, -0.43, -0.22], [-0.40, -1.83, 0.03], [-0.09, 0.05, 0.00], [0.05, 0.27, 0.14], [0.04, 0.00, 0.09], [0.01, 0.24, -0.18], [-0.02, -0.06, 0.01], [0.01, 0.01, 0.12], [-0.06, 0.06, 0.01], [0.01, -0.06, 0.00], [0.09, -0.10, -0.04], [-0.07, 0.00, -0.03], [-0.98, 0.15, 1.12], [0.89, -1.06, -1.17], [0.33, 1.60, 0.05], [0.10, 0.14, -0.26], [0.07, 0.64, 0.08], [-0.02, 0.35, 0.24]],
  "lowdin_charge": [-0.442, -0.450, 0.084, 0.102, -0.028, 0.027, 0.100, 0.102, 0.087, 0.084, 0.094, 0.087, -0.005, -0.099, 0.072, 0.031, 0.089, 0.063],
  "total_energy_ev": -11381.0372,
  "homo_lumo_gap_ev": 8.262,
  "homo_energy_ev": -7.449,
  "relative_energy_ev": 5.866
}

{
  "formula": "C4H10N2O2",
  "method": "ωB97M-V/def2-TZVPD",
  "elements": ["C", "N", "C", "C", "O", "H", "H", "H", "H", "H", "N", "C", "O", "H", "H", "H", "H", "H"],
- - -

Finally … what do you propose the acronym should be for our new planetary family?

There shouldn’t be such an crayon, there are simply too many planets. Knowing the names of them is, well, so 20th century. We don’t memorize the names of all the mountains or rivers of Earth or all the stars. We only used to be able to do that for planets because our technology was do primitive and we didn’t know there were so many. In the 21st century one only needs to know the names of famous planets, just like kids only have to learn the names of the larges rivers and mountains. Beyond that all you need to know is that there are many more and you can look them up on the web or in books.